### File
********
DFT (GGA-PBE) results for crystalline Ta2Ga2Ni at its relaxed geometry.

Calculated values
Calculated total energy in eV/atom: -7.2613
Total moment in μB/cell: 0.00
Formation enthalpy at 0 K in meV per atom: -153

Cell: 6.158 6.158 4.109 Å, 90.00 90.00 90.00°
Atoms (fractional coordinates):
Ta1 0.336 0.164 0.500
Ta2 0.664 0.836 0.500
Ni1 0.500 0.500 0.000
Ga1 0.642 0.142 0.000
Ni2 0.000 0.000 0.000
Ta3 0.836 0.336 0.500
Ga2 0.858 0.642 0.000
Ta4 0.164 0.664 0.500
Ga3 0.358 0.858 0.000
Ga4 0.142 0.358 0.000
********

### Job
What is needed: return only the last part of the lines further above, starting with the line that has "0.500 0.000".

### Reply
Ni1 0.500 0.500 0.000
Ga1 0.642 0.142 0.000
Ni2 0.000 0.000 0.000
Ta3 0.836 0.336 0.500
Ga2 0.858 0.642 0.000
Ta4 0.164 0.664 0.500
Ga3 0.358 0.858 0.000
Ga4 0.142 0.358 0.000